Types of Differs

Here we list the kinds of Differs and how you can use them.

The examples below assume the following imports:

import difflicious._
import difflicious.implicits._

_Unrelated to this text: crystal structures_
~~~
Record 1
Entry from the Alexandria database: a relaxed structure of Li2CrRe (GGA-PBE).

```
data_Li2CrRe
_chemical_formula_sum 'Li6 Cr3 Re3'
_cell_length_a 2.6293
_cell_length_b 2.6293
_cell_length_c 28.6939
_cell_angle_alpha 90.00
_cell_angle_beta 90.00
_cell_angle_gamma 120.00
_space_group_name_H-M_alt 'R -3 m'
_space_group_IT_number 166
_space_group_name_Hall '-R 3 2"'
loop_
_atom_site_label
_atom_site_fract_x
_atom_site_fract_y
_atom_site_fract_z
Li1 0.0000 0.0000 0.2504
Cr1 0.0000 0.0000 0.5000
Re1 0.0000 0.0000 0.0000
```

Summary:
Energy of formation from the pure elements ... 201 kJ/mol of formula units


Record 2
Entry from the Alexandria database: a relaxed structure of KGa (GGA-PBE).

```
data_KGa
_chemical_formula_sum 'K8 Ga8'
_cell_length_a 6.6012
_cell_length_b 6.7195
_cell_length_c 12.7734
_cell_angle_alpha 90.00
_cell_angle_beta 90.00
_cell_angle_gamma 90.00
_space_group_name_H-M_alt 'P 21 21 21'
_space_group_IT_number 19
_space_group_name_Hall 'P 2ac 2ab'
loop_
_atom_site_label
_atom_site_fract_x
_atom_site_fract_y
_atom_site_fract_z
K1 0.0981 0.0720 0.4859
K2 0.0976 0.6376 0.6667
Ga1 0.0893 0.8254 0.2317
Ga2 0.1043 0.5720 0.3773
```

Summary:
Energy of formation from the pure elements ... -9 kJ/mol of formula units


Record 3
Entry from the Alexandria database: a relaxed structure of PrTm3Tc (GGA-PBE).

```
data_PrTm3Tc
_chemical_formula_sum 'Pr1 Tm3 Tc1'
_cell_length_a 5.3521
_cell_length_b 5.3521
_cell_length_c 5.3521
_cell_angle_alpha 90.00
_cell_angle_beta 90.00
_cell_angle_gamma 90.00
_space_group_name_H-M_alt 'P m -3 m'
_space_group_IT_number 221
_space_group_name_Hall '-P 4 2 3'
loop_
_atom_site_label
_atom_site_fract_x
_atom_site_fract_y
_atom_site_fract_z
Pr1 0.0000 0.0000 0.0000
Tm1 0.0000 0.5000 0.5000
Tc1 0.5000 0.5000 0.5000
```

Summary:
Energy of formation from the pure elements ... 41 kJ/mol of formula units


Record 4
Entry from the Alexandria database: a relaxed structure of Ta2TeRh (GGA-PBE).

```
data_Ta2TeRh
_chemical_formula_sum 'Ta4 Te2 Rh2'
_cell_length_a 9.5850
_cell_length_b 3.2693
_cell_length_c 4.9245
_cell_angle_alpha 90.00
_cell_angle_beta 109.15
_cell_angle_gamma 90.00
_space_group_name_H-M_alt 'C 1 m 1'
_space_group_IT_number 8
_space_group_name_Hall 'C -2y'
loop_
_atom_site_label
_atom_site_fract_x
_atom_site_fract_y
_atom_site_fract_z
Ta1 0.0000 0.0000 0.0000
Ta2 0.2271 0.0000 0.6757
Te1 0.4730 0.0000 0.4820
Rh1 0.2299 0.5000 0.1491
```

Summary:
Uncorrected formation energy ... -0.06 eV per formula unit


Record 5
Entry from the Alexandria database: a relaxed structure of Ac2HoZn3Ga4 (GGA-PBE).

```
data_Ac2HoZn3Ga4
_chemical_formula_sum 'Ac2 Ho1 Zn3 Ga4'
_cell_length_a 4.5050
_cell_length_b 4.5050
_cell_length_c 11.3790
_cell_angle_alpha 90.00
_cell_angle_beta 90.00
_cell_angle_gamma 90.00
_space_group_name_H-M_alt 'P -4 m 2'
_space_group_IT_number 115
_space_group_name_Hall 'P -4 -2'
loop_
_atom_site_label
_atom_site_fract_x
_atom_site_fract_y
_atom_site_fract_z
Ac1 0.0000 0.5000 0.2318
~~~

Value Differs

For basic types like Int, Double and String we typically can compare them directly e.g. using equals method.

If you have a simple type where you don’t need any advanced diffing, then you can use Differ.useEquals to make a Differ instance for it.

case class MyInt(i: Int)

object MyInt {
  implicit val differ: Differ[MyInt] = Differ.useEquals[MyInt](valueToString = _.toString)
MyInt.differ.diff(MyInt(1), MyInt(2))
MyInt(1) -> MyInt(2)

Differs for Algebraic Data Types (enums, sealed traits and case classes)

You can derive Differ for a case class provided that there is a Differ instance for all your fields.

Similarly, you can derive a Differ for a sealed trait (Also called Enums in Scala 3) provided that we’re able to derive a Differ for subclass of the sealed trait (or a Differ instance is already in scope for that subclass)

Case class

final case class Person(name: String, age: Int)

object Person {
  implicit val differ: Differ[Person] = Differ.derived[Person]
  Person("Alice", 40),
  Person("Alice", 35)
  name: "Alice",
  age: 40 -> 35,

Sealed trait / Scala 3 Enum

// Deriving Differ instance for sealed trait
sealed trait HousePet
final case class Dog(name: String, age: Int) extends HousePet
final case class Cat(name: String, livesLeft: Int) extends HousePet

== Attached: calculated crystals ==
No. 1
VASP calculation (PBE) on a geometry-optimized TaCd2Si structure.

The structure in POSCAR format:
```
TaCd2Si
1.0
9.6590 0.0039 0.0023
9.1804 3.0027 0.0023
9.1804 1.4651 2.6210
Cd Si Ta
2 1 1
direct
0.0026 0.0026 0.0026
0.2455 0.2455 0.2455
0.4952 0.4952 0.4952
0.7567 0.7567 0.7567
```

Calculated values
theoretical density = 9.5 g/cm³
formation energy without anion corrections = 0.181 eV/atom
M_tot = 0.0 μB/f.u.
space-group type = R3m, No. 160

No. 2
VASP calculation (PBE) on a geometry-optimized RbTh4Se8 structure.

The structure in POSCAR format:
```
RbTh4Se8
1.0
-0.2049 -7.8885 -2.3229
0.4106 1.9264 7.9866
-18.1883 0.2121 0.8839
Rb Th Se
2 8 16
direct
0.0000 0.0000 0.0000
0.0000 0.0000 0.5000
0.5027 0.0054 0.2500
0.4973 0.5027 0.7500
0.0054 0.5027 0.7500
0.9946 0.4973 0.2500
0.5027 0.4973 0.2500
0.4973 0.9946 0.7500
0.0000 0.0000 0.2500
0.0000 0.0000 0.7500
0.1641 0.3282 0.8479
0.6718 0.8359 0.8479
0.1641 0.8359 0.8479
0.8359 0.1641 0.3479
0.3282 0.1641 0.1521
0.8359 0.6718 0.3479
0.3282 0.1641 0.3479
0.1641 0.3282 0.6521
0.1641 0.8359 0.6521
0.8359 0.1641 0.1521
0.6667 0.3333 0.6542
0.3333 0.6667 0.1542
0.3333 0.6667 0.3458
0.6667 0.3333 0.8458
0.6718 0.8359 0.6521
0.8359 0.6718 0.1521
```

Calculated values
theoretical density = 5.1 g/cm³
formation energy without anion corrections = -1.523 eV/atom
M_tot = 1.1 μB/f.u.
space-group type = P6_3/mmc, No. 194

No. 3
VASP calculation (PBE) on a geometry-optimized KCdSi2Bi structure.

The structure in POSCAR format:
```
KCdSi2Bi
1.0
5.2310 0.0000 0.0000
0.0000 5.8376 0.0000
0.0000 0.0000 5.2310
K Si Bi Cd
1 2 1 1
direct
0.5000 0.5000 0.5000
0.0000 0.0000 0.5000
0.5000 0.0000 0.0000
0.0000 0.5000 0.0000
0.0000 0.0000 0.0000
```

Calculated values
theoretical density = 4.3 g/cm³
formation energy without anion corrections = 0.710 eV/atom
M_tot = 0.0 μB/f.u.
space-group type = P4/mmm, No. 123

No. 4
VASP calculation (PBE) on a geometry-optimized Pm6Ge3AsS2 structure.

The structure in POSCAR format:
```
Pm6Ge3AsS2
1.0
4.1533 0.0000 0.0000
0.0000 8.4604 0.1952
-2.0766 -2.5491 8.8357
Pm Ge As S
6 3 1 2
direct
0.3331 0.9141 0.6662
0.6679 0.5801 0.3358
0.6669 0.0859 0.3338
0.0022 0.2491 0.0045
0.9978 0.7509 0.9955
0.3321 0.4199 0.6642
0.5000 0.5000 0.0000
0.8333 0.1692 0.6666
0.1667 0.8308 0.3334
0.5000 0.0000 0.0000
0.8323 0.6656 0.6646
0.1677 0.3344 0.3354
```

Calculated values
theoretical density = 6.5 g/cm³
formation energy without anion corrections = -1.342 eV/atom
M_tot = 0.0 μB/f.u.
space-group type = C2/m, No. 12

No. 5
VASP calculation (PBE) on a geometry-optimized PmHoMgHg structure.

The structure in POSCAR format:
```
PmHoMgHg
1.0
-2.8789 -0.3133 2.4420
-2.1570 -1.4903 -2.7342
2.3624 -6.9040 1.8994
Pm Ho Mg Hg
1 1 1 1
direct
0.0000 0.0000 0.8577
0.0000 0.0000 0.3516
0.5000 0.5000 0.5953
0.5000 0.5000 0.1234
```

Calculated values
theoretical density = 8.2 g/cm³
E_form = -0.280 eV per atom
energy relative to the lowest polymorph listed for this composition = 0.0000 eV/atom

object HousePet {
  implicit val differ: Differ[HousePet] = Differ.derived[HousePet]
  Dog("Lucky", 1),
  Cat("Lucky", 1)
Dog != Cat
=== Obtained ===
  name: "Lucky",
  age: 1,
=== Expected ===
  name: "Lucky",
  livesLeft: 1,

Seq Differ

Differ for sequences allow diffing immutable sequences like Seq, List, and Vector.

By default, Seq Differs will match elements by their index in the sequence.

In the example below

  • Bob’s age
  • Alice isn’t expected to be in list
  • Charles is expected but missing
val alice = Person("Alice", 30)
val bob = Person("Bob", 25)
val bob50 = Person("Bob", 50)
val charles = Person("Charles", 80)

Differ.seqDiffer[List, Person].diff(
  List(alice, bob50),
  List(alice, bob, charles)
    name: "Alice",
    age: 30,
    name: "Bob",
    age: 50 -> 25,
    name: "Charles",
    age: 80,

Pair by field

In many test scenarios we actually don’t care about order of elements, as long as the two sequences contains the same elements. One example of this is inserting multiple records into a database and then retrieving them , where you expect the same records to be returned by not necessarily in the original order.

In this case, you can configure a Differ to pair by a field instead.

val differByName = Differ[List[Person]].pairBy(_.name)

  List(bob50, charles, alice),
  List(alice, bob, charles)

When we match by a person’s name instead of index, we can now easily spot that Bob has the wrong age.

    name: "Bob",
    age: 50 -> 25,
    name: "Charles",
    age: 80,
    name: "Alice",
    age: 30,

Map differ

Map differ pair entries with the same keys and compare the values. Missing key-values will also be reported in the result.

It requires

== Inserted here: crystal structures ==
'''
No. 1
The following is a DFT calculation (GGA-PBE) of NpAlS3 after structural relaxation.

Cell: 6.013 8.396 9.453 Å, 123.37 90.00 90.00°
Site moments in Bohr magnetons follow the coordinates.
Sites, in units of the cell vectors:
Np (0.288, 0.497, 0.876)  3.92
Np (0.212, 0.997, 0.376)  3.92
Np (0.712, 0.503, 0.124)  3.92
Np (0.788, 0.003, 0.624)  3.92
S (0.846, 0.404, 0.788)  -0.09
S (0.561, 0.777, 0.863)  -0.03
S (0.154, 0.596, 0.212)  -0.09
S (0.407, 0.354, 0.546)  -0.06
S (0.939, 0.277, 0.363)  -0.03
S (0.093, 0.854, 0.046)  -0.06
S (0.061, 0.723, 0.637)  -0.03
S (0.439, 0.223, 0.137)  -0.03
S (0.593, 0.646, 0.454)  -0.06
S (0.907, 0.146, 0.954)  -0.06
S (0.346, 0.096, 0.712)  -0.09
S (0.654, 0.904, 0.288)  -0.09
Al (0.250, 0.972, 0.888)  0.01
Al (0.250, 0.472, 0.388)  0.01
Al (0.750, 0.528, 0.612)  0.01
Al (0.750, 0.028, 0.112)  0.01

Energy above the lowest structure with this stoichiometry ... 0.071 eV per atom
VASP energy ... -6.888 eV per atom
ΔE_f (raw) ... -1.074 eV per atom
Density ... 6.00 Mg/m³
Space-group type ... P2_1/c (14)

---

No. 2
The following is a DFT calculation (GGA-PBE) of HgMoSN2 after structural relaxation.

Cell: 4.175 4.175 5.204 Å, 90.00 90.00 90.00°
Site moments in Bohr magnetons follow the coordinates.
Sites, in units of the cell vectors:
N (0.500, 0.000, 0.000)  -0.86
N (0.000, 0.500, 0.000)  -0.86
S (0.000, 0.000, 0.500)  -0.16
Mo (0.500, 0.500, 0.500)  3.39
Hg (0.000, 0.000, 0.000)  -0.05

Energy above the lowest structure with this stoichiometry ... 1.801 eV per atom
VASP energy ... -4.155 eV per atom
ΔE_f (raw) ... 2.227 eV per atom
Density ... 6.53 Mg/m³
Space-group type ... P4/mmm (123)

---

What did the second record say?
The following is a DFT calculation (GGA-PBE) of HgMoSN2 after structural relaxation.

Cell: 4.175 4.175 5.204 Å, 90.00 90.00 90.00°
Site moments in Bohr magnetons follow the coordinates.
Sites, in units of the cell vectors:
N (0.500, 0.000, 0.000)  -0.86
N (0.000, 0.500, 0.000)  -0.86
S (0.000, 0.000, 0.500)  -0.16
Mo (0.500, 0.500, 0.500)  3.39
Hg (0.000, 0.000, 0.000)  -0.05

Energy above the lowest structure with this stoichiometry ... 1.801 eV per atom
VASP energy ... -4.155 eV per atom
ΔE_f (raw) ... 2.227 eV per atom
Density ... 6.53 Mg/m³
Space-group type ... P4/mmm (123)
'''

  • a ValueDiffer instance for the map key type (for display purposes)
  • a Differ instance for the map value type
Differ[Map[String, Person]].diff(
    "a" -> alice,
    "b" -> bob
    "b" -> bob50,
    "c" -> charles
  "a" -> Person(
      name: "Alice",
      age: 30,
  "b" -> Person(
      name: "Bob",
      age: 25 -> 50,
  "c" -> Person(
      name: "Charles",
      age: 80,

Set differ

Set differ can diff two Sets by pairing the set elements and diffing them. By default, the pairing is based on matching elements that are equal to each other (using equals).

However, you most likely want to pair elements using a field on an element instead for better diffs reports (See next section).

Pair by field

For the best error reporting, you want to configure SetDiffer to pair by a field.

val differByName: Differ[Set[Person]] = Differ[Set[Person]].pairBy(_.name)

  Set(bob50, charles, alice),
  Set(alice, bob, charles)
    name: "Bob",
    age: 50 -> 25,
    name: "Charles",
    age: 80,
    name: "Alice",
    age: 30,

Always ignored Differ

Sometimes for certain types you can’t really compare them (e.g. Something that’s not a plain data structure).

In that case you can use Differ.alwaysIgnore

class CantCompare()

val alwaysIgnoredDiffer: Differ[CantCompare] = Differ.alwaysIgnore[CantCompare]